**Contents**
____________
Structure and computed X-ray powder pattern of ScSi4Ni6 (a GGA-PBE-relaxed structure; Cu Kα, 1.54184 Å).

Most intense lines, 5 to 70 degrees two-theta, by intensity:
(hkl), d [Å], 2theta, intensity
2 0 1, 2.239, 40.3, 100
2 1 1, 1.853, 49.2, 47
2 1 0, 2.161, 41.8, 24
0 0 2, 1.801, 50.7, 24
3 0 0, 1.906, 47.7, 22
2 2 0, 1.650, 55.7, 18
1 0 0, 5.717, 15.5, 18
1 0 1, 3.048, 29.3, 18
1 1 1, 2.434, 36.9, 11
2 1 2, 1.384, 67.7, 10

Atomic structure:
```
data_ScSi4Ni6
_chemical_formula_sum 'Sc1 Si4 Ni6'
_symmetry_space_group_name_H-M 'P -6 m 2'
_symmetry_Int_Tables_number 187
_symmetry_space_group_name_Hall 'P -6 2'
_cell_length_a 6.6019
_cell_length_b 6.6019
_cell_length_c 3.6024
_cell_angle_alpha 90.00
_cell_angle_beta 90.00
_cell_angle_gamma 120.00
loop_
_atom_site_label
_atom_site_type_symbol
_atom_site_fract_x
_atom_site_fract_y
_atom_site_fract_z
Sc1 Sc 0.0000 0.0000 0.0000
Si1 Si 0.1917 0.3834 0.5000
Si2 Si 0.6667 0.3333 0.0000
Ni1 Ni 0.0704 0.5352 0.0000
Ni2 Ni 0.4050 0.2025 0.5000
```

Structure and computed X-ray powder pattern of Sc3Si3Ni2 (a GGA-PBE-relaxed structure; Cu Kα, 1.54184 Å).

Most intense lines, 5 to 70 degrees two-theta, by intensity:
(hkl), d [Å], 2theta, intensity
3 0 1, 2.229, 40.5, 100
1 3 2, 2.154, 41.9, 99
2 4 0, 2.465, 36.4, 87
1 1 2, 2.426, 37.1, 69
3 3 1, 1.989, 45.6, 39
1 4 2, 1.978, 45.9, 37
0 6 0, 2.206, 40.9, 35
1 0 1, 4.272, 20.8, 31
3 1 1, 2.197, 41.1, 29
4 0 1, 1.742, 52.5, 28

Atomic structure:
```
data_Sc3Si3Ni2
_chemical_formula_sum 'Sc12 Si12 Ni8'
_symmetry_space_group_name_H-M 'P n m a'
_symmetry_Int_Tables_number 62
_symmetry_space_group_name_Hall '-P 2ac 2n'
_cell_length_a 7.388
_cell_length_b 13.236
_cell_length_c 5.236
_cell_angle_alpha 90.00
_cell_angle_beta 90.00
_cell_angle_gamma 90.00
loop_
_atom_site_label
_atom_site_type_symbol
_atom_site_fract_x
_atom_site_fract_y
_atom_site_fract_z
Sc1 Sc 0.039 0.112 0.126
Sc2 Sc 0.185 0.250 0.620
Si1 Si 0.170 0.750 0.605
Si2 Si 0.197 0.040 0.614
Ni1 Ni 0.091 0.601 0.382
```

----------

Entry 1:
HfCrAgS4: theoretical powder diffractogram (λ = 1.5418 Å (Cu Kα)), based on a GGA-PBE-relaxed structure.
Intensities are scaled so that the largest is 100.

Most intense lines, 2θ from 10° to 90°, sorted by position:
| 2θ/deg | I_rel |
| --- | --- |
| 10.32 | 26 |
| 17.04 | 26 |
| 20.72 | 27 |
| 25.68 | 28 |
| 27.23 | 100 |
| 29.40 | 72 |
| 33.22 | 43 |
| 40.30 | 31 |
| 40.50 | 43 |
| 49.49 | 40 |

Cell and atoms:
abc: 3.5985 11.3438 13.0965
angles: 90.00 90.00 90.00
Space group Pmn2_1 (No. 31)
Inequivalent atoms, fractional coordinates:
Hf 0.0000 0.1615 0.0000
Hf 0.0000 0.6873 0.1898
Cr 0.0000 0.1994 0.4699
Cr 0.0000 0.6750 0.6871
Ag 0.0000 0.0086 0.2728
Ag 0.0000 0.5060 0.4184
S 0.0000 0.1622 0.6516
S 0.0000 0.2821 0.2993
S 0.0000 0.3690 0.0662
S 0.0000 0.4602 0.7432
S 0.0000 0.6593 0.0032
S 0.0000 0.7856 0.3721
S 0.0000 0.8760 0.6302
S 0.0000 0.9421 0.9378

=====

Entry 2:
HfCrAgS4: theoretical powder diffractogram (λ = 1.5418 Å (Cu Kα)), based on a GGA-PBE-relaxed structure.
Intensities are scaled so that the largest is 100.

Most intense lines, 2θ from 10° to 90°, sorted by position:
| 2θ/deg | I_rel |
| --- | --- |
| 13.74 | 78 |
| 15.99 | 55 |
| 16.17 | 65 |
| 25.68 | 46 |
| 28.79 | 91 |
| 29.29 | 49 |
| 40.20 | 100 |
| 40.52 | 66 |
| 41.06 | 45 |
| 51.63 | 56 |

Cell and atoms:
abc: 14.1782 3.6018 6.0986
angles: 90.00 114.62 90.00
Space group Cm (No. 8)
Inequivalent atoms, fractional coordinates:
Hf 0.0000 0.0000 0.0000
Cr 0.4929 0.0000 0.4652
Ag 0.2484 0.5000 0.7521
S 0.0978 0.0000 0.7258
S 0.1132 0.5000 0.2669
S 0.3848 0.5000 0.2186
S 0.3901 0.0000 0.7004

=====

Entry 3:
HfCrAgS4: theoretical powder diffractogram (λ = 1.5418 Å (Cu Kα)), based on a GGA-PBE-relaxed structure.
Intensities are scaled so that the largest is 100.

Most intense lines, 2θ from 10° to 90°, sorted by position:
| 2θ/deg | I_rel |
| --- | --- |
| 15.63 | 76 |
| 27.13 | 42 |
| 27.29 | 95 |
| 29.39 | 100 |
| 33.17 | 42 |
| 40.45 | 39 |
| 41.20 | 27 |
| 49.55 | 43 |
____________
**What to do**
Filter the calculation results further up: keep the lines with the word "loop_".
**Solution**
loop_
loop_